To do.
Now write out all of the material further below without altering anything.
File.
<<<
[1]
DFT (PBE-GGA) results for a geometry-optimized La3NbSe2O4F2 structure.

Results
total energy = -7.681 eV/atom
crystal system = orthorhombic
energy of formation from the pure elements = -3.3606 eV per atom

a = 11.425 Å, b = 4.029 Å, c = 18.262 Å
α = 90.00°, β = 90.00°, γ = 90.00°
Fractional coordinates of all 48 atoms:
La  0.004  0.250  0.107
La  0.066  0.250  0.698
La  0.206  0.750  0.468
La  0.294  0.250  0.968
La  0.434  0.750  0.198
La  0.496  0.750  0.607
La  0.504  0.250  0.393
La  0.566  0.250  0.802
La  0.706  0.750  0.032
La  0.794  0.250  0.532
La  0.934  0.750  0.302
La  0.996  0.750  0.893
Nb  0.192  0.250  0.305
Nb  0.308  0.750  0.805
Nb  0.692  0.250  0.195
Nb  0.808  0.750  0.695
Se  0.007  0.250  0.420
Se  0.216  0.750  0.091
Se  0.284  0.250  0.591
Se  0.493  0.750  0.920
Se  0.507  0.250  0.080
Se  0.716  0.750  0.409
Se  0.784  0.250  0.909
Se  0.993  0.750  0.580
O  0.052  0.250  0.245
O  0.170  0.750  0.321
O  0.186  0.750  0.739
O  0.218  0.750  0.901
O  0.282  0.250  0.401
O  0.314  0.250  0.239
O  0.330  0.250  0.821
O  0.448  0.750  0.745
O  0.552  0.250  0.255
O  0.670  0.750  0.179
O  0.686  0.750  0.761
O  0.718  0.750  0.599
O  0.782  0.250  0.099
O  0.814  0.250  0.261
O  0.830  0.250  0.679
O  0.948  0.750  0.755
F  0.062  0.250  0.832
F  0.070  0.250  0.974
F  0.430  0.750  0.474
F  0.438  0.750  0.332
F  0.562  0.250  0.668
F  0.570  0.250  0.526
F  0.930  0.750  0.026
F  0.938  0.750  0.168

---

[2]
DFT (PBE-GGA) results for a geometry-optimized La3O2F5 structure.

Results
total energy = -7.293 eV/atom
crystal system = triclinic
energy of formation from the pure elements = -4.2339 eV per atom

a = 4.138 Å, b = 4.184 Å, c = 17.608 Å
α = 89.63°, β = 89.70°, γ = 88.67°
Fractional coordinates of all 20 atoms:
La  0.000  0.000  0.000
La  0.004  0.101  0.654
La  0.496  0.499  0.811
La  0.504  0.522  0.138
La  0.509  0.508  0.473
La  0.973  0.996  0.315
O  0.027  0.520  0.406
O  0.498  0.002  0.063
O  0.999  0.489  0.064
O  0.999  0.489  0.744
F  0.007  0.516  0.559
F  0.441  0.065  0.240
F  0.497  0.997  0.891
F  0.498  0.010  0.399
F  0.498  0.989  0.738
F  0.503  0.995  0.551
F  0.504  0.440  0.646
F  0.682  0.525  0.286
F  0.972  0.851  0.183
F  0.997  0.499  0.901
>>>
Response.
[1]
DFT (PBE-GGA) results for a geometry-optimized La3NbSe2O4F2 structure.

Results
total energy = -7.681 eV/atom
crystal system = orthorhombic
energy of formation from the pure elements = -3.3606 eV per atom

a = 11.425 Å, b = 4.029 Å, c = 18.262 Å
α = 90.00°, β = 90.00°, γ = 90.00°
Fractional coordinates of all 48 atoms:
La  0.004  0.250  0.107
La  0.066  0.250  0.698
La  0.206  0.750  0.468
La  0.294  0.250  0.968
La  0.434  0.750  0.198
La  0.496  0.750  0.607
La  0.504  0.250  0.393
La  0.566  0.250  0.802
La  0.706  0.750  0.032
La  0.794  0.250  0.532
La  0.934  0.750  0.302
La  0.996  0.750  0.893
Nb  0.192  0.250  0.305
Nb  0.308  0.750  0.805
Nb  0.692  0.250  0.195
Nb  0.808  0.750  0.695
Se  0.007  0.250  0.420
Se  0.216  0.750  0.091
Se  0.284  0.250  0.591
Se  0.493  0.750  0.920
Se  0.507  0.250  0.080
Se  0.716  0.750  0.409
Se  0.784  0.250  0.909
Se  0.993  0.750  0.580
O  0.052  0.250  0.245
O  0.170  0.750  0.321
O  0.186  0.750  0.739
O  0.218  0.750  0.901
O  0.282  0.250  0.401
O  0.314  0.250  0.239
O  0.330  0.250  0.821
O  0.448  0.750  0.745
O  0.552  0.250  0.255
O  0.670  0.750  0.179
O  0.686  0.750  0.761
O  0.718  0.750  0.599
O  0.782  0.250  0.099
O  0.814  0.250  0.261
O  0.830  0.250  0.679
O  0.948  0.750  0.755
F  0.062  0.250  0.832
F  0.070  0.250  0.974
F  0.430  0.750  0.474
F  0.438  0.750  0.332
F  0.562  0.250  0.668
F  0.570  0.250  0.526
F  0.930  0.750  0.026
F  0.938  0.750  0.168

---

[2]
DFT (PBE-GGA) results for a geometry-optimized La3O2F5 structure.

Results
total energy = -7.293 eV/atom
crystal system = triclinic
energy of formation from the pure elements = -4.2339 eV per atom

a = 4.138 Å, b = 4.184 Å, c = 17.608 Å
α = 89.63°, β = 89.70°, γ = 88.67°
Fractional coordinates of all 20 atoms:
La  0.000  0.000  0.000
La  0.004  0.101  0.654
La  0.496  0.499  0.811
La  0.504  0.522  0.138
La  0.509  0.508  0.473
La  0.973  0.996  0.315
O  0.027  0.520  0.406
O  0.498  0.002  0.063
O  0.999  0.489  0.064
O  0.999  0.489  0.744
F  0.007  0.516  0.559
F  0.441  0.065  0.240
F  0.497  0.997  0.891
F  0.498  0.010  0.399
F  0.498  0.989  0.738
F  0.503  0.995  0.551
F  0.504  0.440  0.646
F  0.682  0.525  0.286
F  0.972  0.851  0.183
F  0.997  0.499  0.901